Felony, Misdemeanor Or Infraction-Expungement In CA
If you plead to a criminal charge or were convicted of a charge, that record will be with you forever. However, an expungement may be able to help your future! An expunged record will show as “dismissed” on the court web site. Employers and Licensing Boards must take into consideration the fact that your case has been expunged.

If you were convicted of an infraction, a misdemeanor, or a felony and were not sentenced to state prison, we can petition the court for a dismissal. This means you were given county jail time, probation, a fine, or a combination of those and you may be eligible for an expungement. The court will set aside the conviction and the court record would show “dismissed” rather than a conviction.
Most counties have a website in which your arrest and conviction are on many databases. Once the court approves the “dismissal”, then the record is sent to the California Department of Justice, and your record should show cleared for most searches and public records.
- California Labor Code section 432.7 says that an employer CANNOT ask someone applying for a job for information about an arrest or detention that did not end in a conviction.
Furthermore, an employer cannot ask about a referral to or participation in any diversion program. An employer is also not supposed to look for any record of arrest (from any source) that did not end in a conviction. A conviction, for purposes of this code section, includes pleas, verdicts, or findings of guilt. If this information comes to the employer’s attention anyway, the employer cannot use that record as a factor in hiring, promoting, or terminating that person.
An employer may ask an employee or someone applying for a job about an arrest where the case is still pending. This is because an employer would not want to hire someone who may end up with a conviction that effects their employment.
Generally, you are protected from having to disclose to an employer an arrest that did not result in a conviction. The expungement would result in you not have to disclose your conviction information to an employer because your record would show the case as “dismissed” in most situations.
CA Business And Professions Code, Section 480.
This addresses professional licenses and how an expungement may assist in getting a license. “A person shall not be denied a license solely on the basis of a conviction that has been dismissed pursuant to Section 1203.4 (e.g. CA Expungement) of the Penal Code. An applicant who has a conviction that has been dismissed pursuant to Section 1203.4, shall provide proof of the dismissal. This is specific to a board within the California Department of Consumer Affairs and the licensing authority of this agency.
Here is a link to their website to get a list of licenses: CA Dept. of Consumer Affairs
A person shall not be denied a license solely on the basis that he or she has been convicted of a felony if he or she has obtained a certificate of rehabilitation … or that he or she has been convicted of a misdemeanor if he or she has met all applicable requirements of the criteria of rehabilitation developed by the board to evaluate the rehabilitation of a person when considering the denial of a license.
What An Expungement Will Do:
Once all your convictions have been dismissed, this is what you can expect:
1. Applying for private employment
Under most circumstances, private employers cannot ask you about any convictions dismissed under Penal Code section 1203.4. So when applying for a job in the private sector, you generally do not have to disclose a conviction if it was dismissed or expunged. But it is a good idea to read Penal Code section 1203.4, or California Code of Regulations section 7287.4(d), or to talk to your attorney if you have questions about your rights and obligations regarding past convictions when applying for a job.
2. Applying for government employment or a government license
For questions by government employers or on government licensing applications, if you are asked if you have ever been convicted of a crime, you MUST respond with “YES—CONVICTION DISMISSED.” In California, government employers and licensing agencies (except for police agencies and concessionaire licensing boards) will treat you the same as if you had never been convicted of any crime.
You will not be allowed to own or possess a firearm without an expungement or dismissal.
Your dismissed convictions can still be used to increase your punishment in future criminal cases.
Your prior convictions can still effect your driving privileges.
Effect Of Expungement On Rights To Stay In The United States If A Non-Citizen
If you are convicted of a crime while you are lawfully in the U.S., the government may deport you back to your home country.
Contact an Immigration Attorney for further information.
Early Termination Of Probation In California Criminal Cases
== These calculated crystals were left in the article by mistake ==
=====
1.
First-principles (r2SCAN) data for a geometry-optimized Sr3Ga3N5 structure, as listed in Materials Project.

## Properties
Spin magnetization (μB/atom): 0.000

a = 5.944 Å, b = 7.228 Å, c = 8.699 Å
α = 108.35°, β = 103.69°, γ = 95.25°
Positions (direct):
Sr 0.669 0.863 0.874
Sr 0.331 0.137 0.126
Sr 0.182 0.589 0.392
Sr 0.656 0.655 0.202
Sr 0.344 0.345 0.798
Sr 0.818 0.411 0.608
Ga 0.709 0.955 0.569
Ga 0.291 0.045 0.431
Ga 0.091 0.684 0.027
Ga 0.877 0.122 0.284
Ga 0.909 0.316 0.973
Ga 0.123 0.878 0.716
N 0.614 0.053 0.382
N 0.745 0.224 0.110
N 0.044 0.891 0.222
N 0.161 0.287 0.473
N 0.956 0.109 0.778
N 0.255 0.776 0.890
N 0.386 0.947 0.618
N 0.766 0.527 0.905
N 0.234 0.473 0.095
N 0.839 0.713 0.527

2.
First-principles (r2SCAN) data for a geometry-optimized Sr3Ga2N4 structure, as listed in Materials Project.

## Properties
Spin magnetization (μB/atom): 0.000

a = 5.953 Å, b = 9.557 Å, c = 10.281 Å
α = 90.00°, β = 90.00°, γ = 90.00°
Positions (direct):
Sr 0.250 0.595 0.500
Sr 0.250 0.905 0.000
Sr 0.750 0.405 0.500
Sr 0.750 0.095 0.000
Sr 0.391 0.588 0.154
Sr 0.391 0.912 0.346
Sr 0.109 0.588 0.846
Sr 0.109 0.912 0.654
Sr 0.609 0.412 0.846
Sr 0.609 0.088 0.654
Sr 0.891 0.412 0.154
Sr 0.891 0.088 0.346
Ga 0.838 0.750 0.250
Ga 0.662 0.750 0.750
Ga 0.162 0.250 0.750
Ga 0.338 0.250 0.250
Ga 0.250 0.230 0.000
Ga 0.750 0.730 0.500
Ga 0.750 0.770 0.000
Ga 0.250 0.270 0.500
N 0.492 0.168 0.404
N 0.492 0.332 0.096
N 0.008 0.168 0.596
N 0.008 0.332 0.904
N 0.508 0.832 0.596
N 0.508 0.668 0.904
N 0.992 0.832 0.404
N 0.992 0.668 0.096
N 0.125 0.375 0.353
N 0.125 0.125 0.147
N 0.375 0.375 0.647
N 0.375 0.125 0.853
N 0.875 0.875 0.853
N 0.625 0.625 0.353
N 0.625 0.875 0.147
N 0.875 0.625 0.647

| no. | E_form (eV per atom) |
| --- | --- |
| 1 | -0.776 |
| 2 | -0.798 |
=====
== The article goes on ==
California law allows a judge to terminate a defendant’s probation ahead of schedule.
Penal Code 1203.3 PC reads: “The court shall have authority at any time during the term of probation to revoke, modify, or change its order of suspension of imposition or execution of sentence. The court may at any time when the ends of justice will be subserved thereby, and when the good conduct and reform of the person so held on probation shall warrant it, terminate the period of probation, and discharge the person so held.”
If the judge grants an early termination of probation, the court will often expunge the defendant’s criminal record. And in felony wobblercases, the judge may also reduce the felony to a misdemeanor at the same time.
Before terminating your probation early, the judge will want to ensure that:
1 You have successfully completed the terms of your probation (such as fines, classes or restitution),
2 There are circumstances that justify early termination of probation.
Valid reasons may include (but are not limited to) the fact that your probation is
• keeping you from securing gainful employment,
• preventing you from advancing at work, or
• restricting necessary travel.
~~~
#a
# Nd2MgSe4 (PBE, optimized geometry)
# Theoretical density (Mg/m³): 5.52
# Magnetization (μB/f.u.): 0.000
data_Nd2MgSe4
_chemical_formula_sum 'Nd16 Mg8 Se32'
_symmetry_space_group_name_H-M 'P 1'
_symmetry_Int_Tables_number 1
_cell_length_a 13.605
_cell_length_b 8.147
_cell_length_c 13.649
_cell_angle_alpha 90.00
_cell_angle_beta 90.00
_cell_angle_gamma 90.00
loop_
_symmetry_equiv_pos_as_xyz
'x,y,z'
loop_
_atom_site_label
_atom_site_type_symbol
_atom_site_fract_x
_atom_site_fract_y
_atom_site_fract_z
_atom_site_occupancy
Se1 Se 0.768 0.866 0.274 1
Se2 Se 0.971 0.617 0.629 1
Se3 Se 0.047 0.875 0.139 1
Se4 Se 0.709 0.118 0.497 1
Nd1 Nd 0.865 0.869 0.493 1
Nd2 Nd 0.366 0.631 0.493 1
Se5 Se 0.953 0.125 0.639 1
Nd3 Nd 0.635 0.869 0.993 1
Se6 Se 0.526 0.626 0.868 1
Se7 Se 0.267 0.637 0.277 1
Se8 Se 0.529 0.617 0.129 1
Se9 Se 0.732 0.866 0.774 1
Mg1 Mg 0.126 0.880 0.320 1
Nd4 Nd 0.634 0.369 0.993 1
Se10 Se 0.291 0.882 0.997 1
Se11 Se 0.489 0.882 0.380 1
Nd5 Nd 0.373 0.384 0.826 1
Se12 Se 0.268 0.134 0.274 1
Mg2 Mg 0.112 0.385 0.693 1
Nd6 Nd 0.627 0.616 0.326 1
Se13 Se 0.474 0.374 0.368 1
Se14 Se 0.511 0.118 0.880 1
Nd7 Nd 0.108 0.885 0.685 1
Nd8 Nd 0.127 0.384 0.326 1
Nd9 Nd 0.866 0.369 0.493 1
Nd10 Nd 0.135 0.131 0.993 1
Se15 Se 0.471 0.383 0.629 1
Se16 Se 0.233 0.637 0.777 1
Nd11 Nd 0.392 0.885 0.185 1
Mg3 Mg 0.626 0.120 0.320 1
Se17 Se 0.989 0.118 0.380 1
Se18 Se 0.209 0.882 0.497 1
Se19 Se 0.029 0.383 0.129 1
Se20 Se 0.974 0.626 0.368 1
Nd12 Nd 0.134 0.631 0.993 1
Se21 Se 0.791 0.118 0.997 1
Mg4 Mg 0.374 0.880 0.820 1
Se22 Se 0.790 0.618 0.023 1
Se23 Se 0.210 0.382 0.523 1
Se24 Se 0.710 0.618 0.523 1
Nd13 Nd 0.892 0.115 0.185 1
Se25 Se 0.767 0.363 0.277 1
Se26 Se 0.290 0.382 0.023 1
Nd14 Nd 0.365 0.131 0.493 1
Se27 Se 0.026 0.374 0.868 1
Mg5 Mg 0.388 0.385 0.193 1
Mg6 Mg 0.888 0.615 0.193 1
Se28 Se 0.733 0.363 0.777 1
Se29 Se 0.453 0.875 0.639 1
Mg7 Mg 0.874 0.120 0.820 1
Se30 Se 0.547 0.125 0.139 1
Nd15 Nd 0.608 0.115 0.685 1
Se31 Se 0.232 0.134 0.774 1
Nd16 Nd 0.873 0.616 0.826 1
Mg8 Mg 0.612 0.615 0.693 1
Se32 Se 0.011 0.882 0.880 1

***

#b
# Nd2MgSe4 (PBE, optimized geometry)
# Theoretical density (Mg/m³): 5.17
# Magnetization (μB/f.u.): 0.001
data_Nd2MgSe4
_chemical_formula_sum 'Nd8 Mg4 Se16'
_symmetry_space_group_name_H-M 'P 1'
_symmetry_Int_Tables_number 1
_cell_length_a 8.412
_cell_length_b 7.751
_cell_length_c 12.394
_cell_angle_alpha 90.00
_cell_angle_beta 90.00
_cell_angle_gamma 90.00
loop_
_symmetry_equiv_pos_as_xyz
'x,y,z'
loop_
_atom_site_label
_atom_site_type_symbol
_atom_site_fract_x
_atom_site_fract_y
_atom_site_fract_z
_atom_site_occupancy
Se1 Se 0.103 0.750 0.549 1
Mg1 Mg 0.816 0.750 0.588 1
Se2 Se 0.359 0.998 0.344 1
Se3 Se 0.897 0.250 0.451 1
Se4 Se 0.603 0.750 0.951 1
Se5 Se 0.141 0.002 0.844 1
Se6 Se 0.641 0.498 0.656 1
Se7 Se 0.859 0.998 0.156 1
Nd1 Nd 0.433 0.750 0.532 1
Nd2 Nd 0.951 0.250 0.685 1
Se8 Se 0.718 0.750 0.389 1
Se9 Se 0.141 0.498 0.844 1
Nd3 Nd 0.049 0.750 0.315 1
Se10 Se 0.641 0.002 0.656 1
~~~
Early termination of probation can make it easier for you to find a job, join a branch of the military, attain a professional license and allow you to move on to a more successful life.
Current California law regarding expungements gives the court the discretion to grant a request for early termination of probation at any time during the probation period. Even if the District Attorney’s office opposes and early termination of probation, we have successfully won motions based on good deed, good character and employment necessity. Most judges want to see people complete at least half of their probation time before they will seriously consider the motion to terminate probation early.